7 Tips from 30 Days of Posting on Medium

From Nothing to 4,767 Views

Deandre Durr
60 Second Read by Dre Durr
3 min readDec 4, 2017


If you are not embarrassed by your first version you shipped to late- Reid Hoffman

For the past 30 days, I wanted to get in the habit of posting on Medium everyday. That meant one clear goal.


  • No content plan
  • No editor(Sorry for the horrible Grammar)
  • No turning back

Here is everything I learned, and how I plan on doubling my views to 10,000 next month.

  1. Medium rewards those that interact daily. Posting everyday created a nice backlog of content. I can always update an old post.
  2. The posts that did the best were the ones focused on a popular current event. Ex. Leaving after 6 months at 🍎
  3. I averaged 2 comments per day on other popular posts. That turned out to be a huge needle mover. I’ll be doubling down on this next month.
  4. Long Tail Tags were very big. One post I wrote about hunting was huge. Because I chose the hunting tag over other popular tags. I will be experimenting with more long tail tags.
  5. Asking for email subscribers is really stupid. I gained 4 subscribers within 30 days, that is abysmal. The best thing is to ask for a clap, or a follow. Keeping people on the platform is the best.
  6. It normally takes a new domain 6–9 months to be indexed by Google. Medium indexes in days!
  7. The way your article is designed is more important than how beefy it is.

What comes next are materials data, not part of the page =
- - -
[1]
MgMo2O7: single point on PBEsol structure, SCAN.

```
data_MgMo2O7
_chemical_formula_sum 'Mg4 Mo8 O28'
_space_group_name_H-M_alt 'P 1 21/c 1'
_space_group_IT_number 14
_cell_length_a 8.152
_cell_length_b 5.714
_cell_length_c 14.975
_cell_angle_alpha 90.00
_cell_angle_beta 114.83
_cell_angle_gamma 90.00
loop_
_space_group_symop_operation_xyz
'x,y,z'
'-x,-y,-z'
'-x,y+1/2,-z+1/2'
'x,-y+1/2,z+1/2'
loop_
_atom_site_label
_atom_site_type_symbol
_atom_site_fract_x
_atom_site_fract_y
_atom_site_fract_z
Mg1 Mg 0.013 0.129 0.410
Mo1 Mo 0.248 0.627 0.364
Mo2 Mo 0.292 0.135 0.126
O1 O 0.113 0.611 0.240
O2 O 0.138 0.134 0.565
O3 O 0.178 0.629 0.597
O4 O 0.194 0.105 0.924
O5 O 0.197 0.617 0.908
O6 O 0.355 0.178 0.248
O7 O 0.493 0.628 0.392
```

- Theoretical density: 3.44 g cm⁻³
- ΔE_f (raw): -2334.7 meV/atom


[2]
BaZn3Cu: single point on PBEsol structure, SCAN.

```
data_BaZn3Cu
_chemical_formula_sum 'Ba1 Zn3 Cu1'
_space_group_name_H-M_alt 'P m -3 m'
_space_group_IT_number 221
_space_group_name_Hall '-P 4 2 3'
_cell_length_a 4.736
_cell_length_b 4.736
_cell_length_c 4.736
_cell_angle_alpha 90.00
_cell_angle_beta 90.00
_cell_angle_gamma 90.00
loop_
_atom_site_label
_atom_site_type_symbol
_atom_site_fract_x
_atom_site_fract_y
_atom_site_fract_z
Ba1 Ba 0.000 0.000 0.000
Zn1 Zn 0.000 0.500 0.500
Cu1 Cu 0.500 0.500 0.500
```

- DFT formation energy: -0.092 eV per atom
- Theoretical density: 6.21 g cm⁻³


[3]
MnAl3Pt: single point on PBEsol structure, SCAN.

```
data_MnAl3Pt
_chemical_formula_sum 'Mn1 Al3 Pt1'
_space_group_name_H-M_alt 'P m -3 m'
_space_group_IT_number 221
_space_group_name_Hall '-P 4 2 3'
_cell_length_a 4.368
_cell_length_b 4.368
_cell_length_c 4.368
_cell_angle_alpha 90.00
_cell_angle_beta 90.00
_cell_angle_gamma 90.00
loop_
_atom_site_label
_atom_site_type_symbol
_atom_site_fract_x
_atom_site_fract_y
_atom_site_fract_z
Mn1 Mn 0.000 0.000 0.000
Al1 Al 0.000 0.000 0.500
Pt1 Pt 0.500 0.500 0.500
```

- DFT formation energy: 0.459 eV per atom
- Theoretical density: 6.59 g cm⁻³


[4]
SrSb3N: single point on PBEsol structure, SCAN.

```
data_SrSb3N
_chemical_formula_sum 'Sr1 Sb3 N1'
_space_group_name_H-M_alt 'P m -3 m'
_space_group_IT_number 221
_space_group_name_Hall '-P 4 2 3'
_cell_length_a 5.957
_cell_length_b 5.957
_cell_length_c 5.957
_cell_angle_alpha 90.00
_cell_angle_beta 90.00
_cell_angle_gamma 90.00
loop_
_atom_site_label
_atom_site_type_symbol
_atom_site_fract_x
_atom_site_fract_y
_atom_site_fract_z
Sr1 Sr 0.000 0.000 0.000
Sb1 Sb 0.000 0.000 0.500
N1 N 0.500 0.500 0.500
```

- Theoretical density: 3.67 g cm⁻³
- ΔE_f (raw): 1739.7 meV/atom


[5]
Y3CoO: single point on PBEsol structure, SCAN.

```
data_Y3CoO
_chemical_formula_sum 'Y3 Co1 O1'
_space_group_name_H-M_alt 'P m -3 m'
_space_group_IT_number 221
_space_group_name_Hall '-P 4 2 3'
_cell_length_a 5.013
_cell_length_b 5.013
_cell_length_c 5.013
_cell_angle_alpha 90.00
_cell_angle_beta 90.00
_cell_angle_gamma 90.00
loop_
_atom_site_label
_atom_site_type_symbol
_atom_site_fract_x
- - -

What will I double down on?

1. Comments were huge. I will increase to 6 per day.

2. Short form content works well for current events. I will utilize Google Trends more for hot topics.

3. Motivation topics worked really well.

What will I experiment with this month?

  1. Long Form- 4 long long form articles this month that are at least 2500 words.
  2. Instead of asking for email subscribers I will move to asking for a follow or applause. Getting people to move away from the platform is not a good idea unless I have a good incentive.
  3. I will cross promote the feature image on Instagram. I can utilize more hashtags to a wider audience.
  4. Going back into past articles and changing the tags. That may open up to a different audience.
  5. One Guest Post on another Publication *fingers-crossed*.
  6. Reaching out for interviews.
  7. Since I am building up this catalog of posts. I can start including related articles in each post.

To sum it up, Medium is incredible for building a fan base when you don’t have one. Everything that I learned is priceless for learning the platform. I did not expect 4,700 views this month.

… I plan on doubling my traffic to 10,000 next month.

Think I will hit it?

Follow me and see for yourself.

Durr Out 🎤💧



Deandre Durr
60 Second Read by Dre Durr

I’m a marketer that writes code. Obsessed with growing things bigger than myself 👩‍🚀. My favorite topics are Growth Hacking, Startups, and Product Hunt 😸